'''
Record 1
MgMn2O4 (PBEsol, optimized geometry); offset from the most stable computed form = 74 meV/atom; total moment = 7.10 μB per cell; density of states at the Fermi level = 3.9 states/eV per cell; energy relative to the elements, uncorrected = -1245 kJ/mol of formula units
1.0
5.074 0.000 0.000
0.000 2.922 0.000
-1.446 0.000 4.948
Mg Mn O
1 2 4
Cartesian
0.000 0.000 0.000
-0.723 1.461 2.474
1.814 0.000 2.474
0.067 0.000 3.466
0.762 1.461 1.275
2.866 1.461 3.673
3.560 0.000 1.482

***

Record 2
Mg2Mn3O7 (PBEsol, optimized geometry); total moment = 18.08 μB per cell; density of states at the Fermi level = 7.6 states/eV per cell; energy relative to the elements, uncorrected = -2300 kJ/mol of formula units
1.0
6.015 0.000 0.000
-1.766 6.156 0.000
-1.142 -3.589 6.663
Mg Mn O
4 6 14
Cartesian
0.188 -0.587 2.896
1.564 1.053 0.251
1.542 1.514 6.413
2.918 3.154 3.767
-1.424 0.984 4.770
-0.068 3.877 0.938
-0.008 3.211 3.834
3.114 -0.644 2.829
3.174 -1.311 5.725
4.530 1.582 1.894
-1.376 3.488 2.473
-0.124 1.998 0.622
-1.480 2.859 5.060
-0.174 1.345 3.353
-0.166 0.625 6.087
1.712 -0.456 1.539
1.753 -1.066 4.112
1.353 3.632 2.551
1.394 3.023 5.124
3.272 1.942 0.576
3.280 1.222 3.310
4.586 -0.292 1.603
3.230 0.568 6.042
4.482 -0.921 4.191

***

Record 3
MgMn3O (PBEsol, optimized geometry); total moment = 12.30 μB per cell; density of states at the Fermi level = 1.9 states/eV per cell; energy relative to the elements, uncorrected = 936 kJ/mol of formula units
1.0
4.634 0.000 0.000
0.000 4.634 0.000
0.000 0.000 4.634
Mg Mn O
1 3 1
Cartesian
0.000 0.000 0.000
0.000 0.000 2.317
0.000 2.317 0.000
2.317 0.000 0.000
2.317 2.317 2.317

***

Record 4
MgMnPO2 (PBEsol, optimized geometry); total moment = 5.03 μB per cell; density of states at the Fermi level = 2.4 states/eV per cell; energy relative to the elements, uncorrected = 2 kJ/mol of formula units
1.0
3.677 0.000 0.000
0.000 3.677 0.000
0.000 0.000 5.608
Mg Mn P O
1 1 1 2
Cartesian
0.000 0.000 0.000
0.000 0.000 2.804
1.839 1.839 2.804
0.000 1.839 0.000
1.839 0.000 0.000

***

Record 5
MgMnP2O7 (PBEsol, optimized geometry); total moment = 10.00 μB per cell; density of states at the Fermi level = 0.0 states/eV per cell; energy relative to the elements, uncorrected = -2363 kJ/mol of formula units
1.0
6.216 0.000 0.000
1.139 6.589 0.000
3.021 0.974 6.248
Mg Mn P O
2 2 4 14
Cartesian
2.551 1.438 2.368
7.825 6.125 3.881
4.997 2.714 4.402
5.379 4.849 1.846
2.198 4.378 1.223
4.827 6.139 4.645
5.549 1.424 1.603
8.178 3.185 5.025
4.419 5.947 6.172
3.575 6.714 3.984
2.964 2.805 3.910
2.321 2.884 1.010
3.485 5.165 1.343
5.194 4.781 4.040
6.053 7.068 4.550
4.323 0.495 1.699
5.182 2.782 2.208
6.890 2.398 4.905
8.055 4.679 5.239
7.411 4.758 2.338
6.801 0.849 2.264
5.956 1.616 0.076

***

Record 6
MgMnPO5 (PBEsol, optimized geometry); total moment = 8.00 μB per cell; energy relative to the elements, uncorrected = -1703 kJ/mol of formula units
1.0
3.352 -4.229 0.000
3.352 4.229 0.000
-2.769 0.000 6.126
Mg Mn P O
2 2 2 10
Cartesian
1.968 2.654 3.063
3.352 -2.654 0.000
2.979 0.118 1.729
1.594 -0.118 4.792
3.759 3.042 0.275
2.375 -3.042 3.338
-0.206 0.009 4.021
1.179 -0.009 0.958
2.930 2.260 1.302
1.915 2.074 5.628
2.309 0.728 3.327
3.693 -0.728 0.264
1.546 -2.260 4.365
4.843 0.358 2.357
3.299 -2.074 2.565
3.459 -0.358 5.420

***

Record 7
MgMn2P2O9 (PBEsol, optimized geometry); total moment = 32.00 μB per cell; density of states at the Fermi level = 5.9 states/eV per cell; energy relative to the elements, uncorrected = -2827 kJ/mol of formula units
1.0
14.277 0.000 0.000
0.000 6.250 0.000
0.000 0.000 6.984
Mg Mn P O
4 8 8 36
Cartesian
3.191 1.563 0.817
3.947 4.688 4.309
10.330 1.563 2.675
11.086 4.688 6.167
0.000 0.000 0.000
0.000 3.125 0.000
1.708 1.563 4.513
5.431 4.688 1.021
7.139 0.000 3.492
7.139 3.125 3.492
8.846 1.563 5.963
12.569 4.688 2.471
1.045 4.688 4.355
2.847 4.688 0.741
4.292 1.563 4.233
6.094 1.563 0.863
8.183 4.688 6.121
9.985 4.688 2.751
11.431 1.563 6.243
13.232 1.563 2.629
'''
Return the part of the data above that starts with the line with "4.402" and stops after the one with "3.063", please.
4.997 2.714 4.402
5.379 4.849 1.846
2.198 4.378 1.223
4.827 6.139 4.645
5.549 1.424 1.603
8.178 3.185 5.025
4.419 5.947 6.172
3.575 6.714 3.984
2.964 2.805 3.910
2.321 2.884 1.010
3.485 5.165 1.343
5.194 4.781 4.040
6.053 7.068 4.550
4.323 0.495 1.699
5.182 2.782 2.208
6.890 2.398 4.905
8.055 4.679 5.239
7.411 4.758 2.338
6.801 0.849 2.264
5.956 1.616 0.076

***

Record 6
MgMnPO5 (PBEsol, optimized geometry); total moment = 8.00 μB per cell; energy relative to the elements, uncorrected = -1703 kJ/mol of formula units
1.0
3.352 -4.229 0.000
3.352 4.229 0.000
-2.769 0.000 6.126
Mg Mn P O
2 2 2 10
Cartesian
1.968 2.654 3.063